Horse meat - Muslims, Christians, Jews etc.

I think it's funny that anyone has a condition on any food they eat due to religion. Personal choice is one thing. If a higher power has enabled me the power to digest something I can eat it if I wish. It's just an opinion. But I live in a town of sheep people who follow so blindly their silly mentors.

I have eaten horse meat in Quebec, however I won't anymore. I was unfortunate to watch the fun someone had in slaughtering it.
Too much joy in that industry in some places.

I will eat anything meatwise as long as it is humanely raised and slaugthered. Most of the meats I eat are farm rasied and I know the farmer doing the work.
That was my plan originally, but I found it easier to just become vegetarian than to check up on everything.
I do eat meat alot of due to taste. I wouldn't mind going vedg. But finding a decent source other than tofu for protein.

I have been blessed with witnessing so many acts of cruety to animals. Both in my time with the Humane Society, and my own investigative nosey ways.
Now being in the plumbing industry working with the farms and such also seeing the sickness people have with these animals.

Watching a group of men sit around with beers and smokes watching a pig dance while being electricuted proves what kind of an area I live in....or was unfortnuatley transferred to.

My cure for cramps in the summer time from not having enough nutrients eh : D. To hell with Bananas! Bring me the blood of a calf!
Most Fridays, no issue. Fridays during Lent, devout Catholics still observe it. But if March 17 falls on a Friday, there're often Bishops who'll lift the restriction that day, people want their corned beef.
I had a teaofftopicte use that in his signature at work. Didn't tell anyone what it meant until he was leaving for a new job
I can't imagine why someone would eat beef or pork and then have an aversion to horse.
If you mean from a non-religious point of view, then I totally agree.

I find it bizarre that people can be all sentimental about eating horsemeat, but quite happily tuck into beef, pig, lamb, etc.

I used to have the same argument with my little sister while she was watching the Horse of the Year show on TV!
Its called cuteness factor. Horses are obviously considered cuter then cows. In all seriousness, it might be a cultural holdover from when horses were considered vital for transport and farm work. Horses were simply more valuable alive then on the plate. In the west, having your horse die might leave you stranded days away from water. Thus the strict laws against horse theft.
As far as I know, as a Muslim we can only eat the right thigh/leg section of the horse. similarly animals that prey on other animals are forbidden as are those that mensturate - but as pointed out earlier in survival situations its ALL good

edit: its the right shoulder section apparently
That's interesting! What's the background to this rule? Is it from a specific passage of the koran? Why that specific leg?
Religion is such a funny thing.

Having that I have worked with both, the aversion to me about horse meat is A they are more intelligent than cows, also couldn't eat something I have developed a bond with. That would include if I had a pig as a pet. B It takes more to kill them since their skulls are thicker, if you are doing it the gov't humane way of stunning them 1st. I have seen a horse get nailed with a captive bolt gun 3 or 4 times before being stunned out. But if you have no heart and figure who cares thats fine.

**Unrelated to this entry: records of crystals:**
~~~
Record 1
# Sr2Sn3BiAu4
Simulated XRD peak list, Cu Kα, 1.54184 Å. Input: a cell relaxed with GGA-PBE.
Peak positions follow from Bragg's law for the DFT cell and can differ from measured ones.

Unit cell a=4.809 b=4.809 c=11.568 alpha=90.00 beta=90.00 gamma=90.00
Space group P-4m2 (No. 115)
One atom of each set of equivalent atoms:
Sr  0.000  0.500  0.232
Sn  0.000  0.500  0.877
Sn  0.500  0.500  0.500
Bi  0.000  0.000  0.500
Au  0.000  0.000  0.000
Au  0.000  0.500  0.646
Au  0.500  0.500  0.000

Most intense lines, 2θ from 10° to 90°, low angle first:
2θ/deg	I/Imax
15.3	26
20.0	28
29.7	28
30.5	100
37.4	70
41.0	62
43.4	20
53.9	25
63.2	26
69.9	27

---

Record 2
# Ac3GaP2Pd9
Simulated XRD peak list, Cu Kα, 1.54184 Å. Input: a cell relaxed with GGA-PBE.
Peak positions follow from Bragg's law for the DFT cell and can differ from measured ones.

Unit cell a=6.4459 b=6.4459 c=8.8424 alpha=90.00 beta=90.00 gamma=120.00
Space group P-3m1 (No. 164)
One atom of each set of equivalent atoms:
Ac  0.0000  0.0000  0.0000
Ac  0.3333  0.6667  0.6439
Ga  0.0000  0.0000  0.5000
P  0.3333  0.6667  0.1689
Pd  0.0000  0.5000  0.0000
Pd  0.1516  0.3033  0.2900

Most intense lines, 2θ from 10° to 90°, low angle first:
2θ/deg	I/Imax
25.7	24
27.7	18
30.3	33
33.7	100
38.1	93
44.1	14
52.8	24
57.2	30
66.1	20
70.8	14

---

Record 3
# Nd3Al9Ga2
Simulated XRD peak list, Cu Kα, 1.54184 Å. Input: a cell relaxed with GGA-PBE.
Peak positions follow from Bragg's law for the DFT cell and can differ from measured ones.

Unit cell a=4.386 b=10.063 c=12.980 alpha=90.00 beta=90.00 gamma=90.00
Space group Immm (No. 71)
One atom of each set of equivalent atoms:
Nd  0.000  0.000  0.000
Nd  0.000  0.000  0.318
Al  0.000  0.273  0.140
Al  0.000  0.370  0.336
Al  0.000  0.500  0.000
Ga  0.000  0.216  0.500

Most intense lines, 2θ from 10° to 90°, low angle first:
2θ/deg	I/Imax
22.1	40
22.4	35
29.0	17
33.6	23
33.8	32
34.1	100
41.2	23
41.8	17
54.3	16
63.1	17

----------

(1)
Diffraction record for Ti3Al2NiC. The powder diffractogram is calculated, not measured: it uses a GGA-PBE-relaxed structure and Cu Kα.
Neutral-atom scattering factors, no anomalous dispersion.

Cell and atoms:
abc: 11.4573 11.4573 11.4573
angles: 90.00 90.00 90.00
Space group Fd-3m (No. 227, origin choice 2)
One atom of each set of equivalent atoms:
Ti 0.0640 0.3750 0.3750 (multiplicity 48)
Al 0.0421 0.0421 0.7079 (multiplicity 32)
Ni 0.0000 0.0000 0.5000 (multiplicity 16)
C 0.0000 0.0000 0.0000 (multiplicity 16)

Main lines, low angle first (10 to 90 degrees two-theta):
26.96 deg, intensity 11.3
34.11 deg, intensity 33.7
38.49 deg, intensity 39.1
40.93 deg, intensity 100.0
44.75 deg, intensity 44.8
53.02 deg, intensity 15.5
66.84 deg, intensity 8.9
69.63 deg, intensity 31.4
71.28 deg, intensity 10.7
84.06 deg, intensity 17.0

***

(2)
Diffraction record for Y2MgTl. The powder diffractogram is calculated, not measured: it uses a GGA-PBE-relaxed structure and Cu Kα.
Neutral-atom scattering factors, no anomalous dispersion.
~~~
**Back to the entry:**

I can only eat the left quarter panel of a cow. Less poop hits that place when they go.
I'm not certain sure Moosey, my mother told me this was the case but I am on the look out for a passage or reference to this. will let you know.... also, your avatar is a clip from an old 70's Turkish movie, not sure which one, I've watched so many while growing up... not 100% there yet though (grown up) :p

oh and also I have read about horse meat being eaten by Ottoman soldiers during that era, the soldiers would eat the horses that were killed in battle or injured. you can't take a cow with you to war (imagine soldiers on cows!! lol) so the use of horses primarily were for battle and if/when they died, then hey why not make use of the meat? - thats my opinion anyway. maybe limiting the area of the horse one can eat has somthing to do with limiting the horse as being seen as an animal to eat and instead as an animal to use productively in war times, and agriculture as was suggested in an earlier post?
Makes enough sense.

I definatly have no problem with no waste and survival.
I think I am pretty biased due to my leanings in the past as well mind you. But good point.
I think it would Johnno, as it was being used in battle and there are many rules and ettiquettes (spelling!) regarding battle and war in Islam! basically it was being used in war to aid in defense so it is, in a way exempt from that rule it already dies serving people who practice and believe in God therefore it kind of dies in an almost holy way - if I may. Hmmmm... now I will look into laws regarding eating animals that die through natural causes, maybe you are not allowed to eat an animal that dies of natural causes as these would usually be old age or disease I'm guessing. these are my thoughts and assumptions based on knowledge I have, NOT direct religious teachings btw
So does that apply to human flesh? I mean surely those who are Jihadi's would then be considered delicacy no?
hehe, for one thing religion tells us human is meat is a definite NO NO! makes sense as it is known that cannabilism promotes brain defects/damage in the consumer either directly or I guess in the their young/future generations just like mad cow disease the cows fought back against humans feading them dead cows by going ape-sh*t!